<<<
1.
Structure and calculated X-ray diffraction stick pattern of Li9Mn2Co5O16 (a DFT-relaxed cell (PBE+U, the Materials Project); λ = 1.5418 Å (Cu Kα)).
Kinematic intensities with the Lorentz-polarization factor, no thermal factor.

Cell and atoms:
```
Li9Mn2Co5O16
1.0
5.0806 0.0000 0.0000
0.8788 5.0828 0.0000
0.6966 1.5444 11.1787
Li Mn Co O
9 2 5 16
Cartesian
0.0000 0.0000 0.0000
5.8174 2.4198 8.3015
2.4708 5.6367 6.2708
3.2468 2.8464 6.9455
3.3184 3.7761 4.2412
3.3759 4.6285 1.4209
3.2593 1.9739 9.7545
5.8995 4.2072 2.8090
5.8660 3.3354 5.6120
4.9505 4.3192 10.4704
4.1640 0.9673 4.9105
2.4111 4.7477 8.9699
1.6390 1.4026 3.5779
1.6926 2.3248 0.7206
4.9418 5.2545 7.6321
4.2137 1.8612 2.1085
1.5443 5.0221 4.5100
1.5025 3.2655 10.2375
1.5727 4.0951 7.4514
0.8176 0.8148 1.7953
2.4931 2.9376 2.3533
2.5329 2.0807 5.1038
2.4930 1.1722 8.0639
3.3313 5.3438 10.7725
4.2270 5.4329 3.1972
3.4307 1.3091 0.3297
4.1632 3.6751 8.8372
4.2662 4.6076 5.8714
4.8882 1.6490 6.5350
4.9738 2.4418 3.8340
5.0330 3.3964 0.9763
5.8020 5.7620 9.4980
```

Peak list (10 most intense, 2θ from 10° to 80°, sorted by position)
| Position (°2θ) | I (rel.) |
| --- | --- |
| 18.3 | 100.0 |
| 35.6 | 14.3 |
| 35.9 | 13.7 |
| 36.2 | 12.4 |
| 37.5 | 7.8 |
| 43.0 | 28.8 |
| 43.5 | 27.8 |
| 43.9 | 26.6 |
| 47.5 | 8.9 |
| 63.0 | 7.7 |

2.
Structure and calculated X-ray diffraction stick pattern of Li2CoSiO4 (a DFT-relaxed cell (PBE+U, the Materials Project); λ = 1.5418 Å (Cu Kα)).
Kinematic intensities with the Lorentz-polarization factor, no thermal factor.

Cell and atoms:
```
Li2CoSiO4
1.0
6.0431 0.0000 0.0000
0.0000 5.4054 0.0000
-0.7388 0.0000 10.7137
Li Co Si O
8 4 4 16
Cartesian
0.0375 0.9894 1.8228
-0.3319 1.7133 7.1796
0.6932 0.9700 9.9085
1.0626 1.7327 4.5516
4.2417 3.6727 6.1621
4.6111 4.4354 0.8052
5.6363 3.6921 3.5341
5.2669 4.4160 8.8909
2.1569 3.6360 8.9332
2.5263 4.4721 3.5763
2.7780 0.9333 7.1374
3.1474 1.7694 1.7805
1.4666 3.7042 0.9360
1.0972 4.4039 6.2929
4.2072 1.0015 4.4208
3.8378 1.7012 9.7777
-0.0572 3.7030 7.1891
0.3122 4.4051 1.8322
1.0069 0.6550 6.1944
1.3763 2.0477 0.8375
1.2119 3.7135 4.8007
0.8425 4.3946 10.1575
2.7222 1.1327 3.5965
2.3528 1.5700 8.9534
2.9516 3.8354 1.7603
2.5822 4.2727 7.1172
4.4618 1.0108 0.5562
4.0924 1.6919 5.9130
3.9280 3.3577 9.8762
4.2974 4.7504 4.5193
4.9921 1.0003 8.8815
5.3615 1.7024 3.5246
```

Peak list (10 most intense, 2θ from 10° to 80°, sorted by position)
| Position (°2θ) | I (rel.) |
| --- | --- |
| 14.7 | 100.0 |
| 18.4 | 25.5 |
| 21.4 | 28.9 |
| 22.1 | 54.2 |
| 28.3 | 26.6 |
| 32.8 | 46.6 |
| 33.1 | 49.7 |
| 33.5 | 21.1 |
| 35.2 | 55.6 |
| 59.0 | 29.0 |

3.
Structure and calculated X-ray diffraction stick pattern of KVPbO4 (a DFT-relaxed cell (PBE+U, the Materials Project); λ = 1.5418 Å (Cu Kα)).
Kinematic intensities with the Lorentz-polarization factor, no thermal factor.

Cell and atoms:
```
KVPbO4
1.0
7.8509 0.0000 0.0000
0.0000 5.8967 0.0000
0.0000 0.0000 10.3326
K V Pb O
4 4 4 16
Cartesian
1.4070 1.4742 0.9237
2.5184 4.4225 6.0900
5.3324 1.4742 4.2426
6.4439 4.4225 9.4089
1.9084 1.4742 4.3466
2.0170 4.4225 9.5129
5.8339 1.4742 0.8197
5.9424 4.4225 5.9860
0.1764 1.4742 7.4071
3.7491 4.4225 2.2408
4.1018 1.4742 8.0918
7.6745 4.4225 2.9255
0.2242 1.4742 4.0611
1.2898 2.9877 8.8214
1.2898 5.8573 8.8214
1.7262 4.4225 0.9341
2.1993 1.4742 6.1004
2.6357 0.0394 3.6551
2.6357 2.9090 3.6551
3.7012 4.4225 9.2274
4.1497 1.4742 1.1052
5.2152 2.9877 6.6775
5.2152 5.8573 6.6775
5.6516 4.4225 4.2322
6.1247 1.4742 9.3985
6.5611 0.0394 1.5112
6.5611 2.9090 1.5112
7.6266 4.4225 6.2715
```

Peak list (10 most intense, 2θ from 10° to 80°, sorted by position)
| Position (°2θ) | I (rel.) |
| --- | --- |
| 17.2 | 22.4 |
| 17.3 | 51.7 |
| 25.6 | 11.3 |
| 28.6 | 100.0 |
| 30.0 | 42.7 |
| 30.3 | 27.9 |
| 39.8 | 13.5 |
| 41.9 | 18.4 |
| 42.1 | 26.3 |
| 52.8 | 12.2 |

4.
Structure and calculated X-ray diffraction stick pattern of RbMgMoO3 (a DFT-relaxed cell (PBE+U, the Materials Project); λ = 1.5418 Å (Cu Kα)).
>>>
It remains to copy the whole of the rows earlier on with every line break kept.
1.
Structure and calculated X-ray diffraction stick pattern of Li9Mn2Co5O16 (a DFT-relaxed cell (PBE+U, the Materials Project); λ = 1.5418 Å (Cu Kα)).
Kinematic intensities with the Lorentz-polarization factor, no thermal factor.

Cell and atoms:
```
Li9Mn2Co5O16
1.0
5.0806 0.0000 0.0000
0.8788 5.0828 0.0000
0.6966 1.5444 11.1787
Li Mn Co O
9 2 5 16
Cartesian
0.0000 0.0000 0.0000
5.8174 2.4198 8.3015
2.4708 5.6367 6.2708
3.2468 2.8464 6.9455
3.3184 3.7761 4.2412
3.3759 4.6285 1.4209
3.2593 1.9739 9.7545
5.8995 4.2072 2.8090
5.8660 3.3354 5.6120
4.9505 4.3192 10.4704
4.1640 0.9673 4.9105
2.4111 4.7477 8.9699
1.6390 1.4026 3.5779
1.6926 2.3248 0.7206
4.9418 5.2545 7.6321
4.2137 1.8612 2.1085
1.5443 5.0221 4.5100
1.5025 3.2655 10.2375
1.5727 4.0951 7.4514
0.8176 0.8148 1.7953
2.4931 2.9376 2.3533
2.5329 2.0807 5.1038
2.4930 1.1722 8.0639
3.3313 5.3438 10.7725
4.2270 5.4329 3.1972
3.4307 1.3091 0.3297
4.1632 3.6751 8.8372
4.2662 4.6076 5.8714
4.8882 1.6490 6.5350
4.9738 2.4418 3.8340
5.0330 3.3964 0.9763
5.8020 5.7620 9.4980
```

Peak list (10 most intense, 2θ from 10° to 80°, sorted by position)
| Position (°2θ) | I (rel.) |
| --- | --- |
| 18.3 | 100.0 |
| 35.6 | 14.3 |
| 35.9 | 13.7 |
| 36.2 | 12.4 |
| 37.5 | 7.8 |
| 43.0 | 28.8 |
| 43.5 | 27.8 |
| 43.9 | 26.6 |
| 47.5 | 8.9 |
| 63.0 | 7.7 |

2.
Structure and calculated X-ray diffraction stick pattern of Li2CoSiO4 (a DFT-relaxed cell (PBE+U, the Materials Project); λ = 1.5418 Å (Cu Kα)).
Kinematic intensities with the Lorentz-polarization factor, no thermal factor.

Cell and atoms:
```
Li2CoSiO4
1.0
6.0431 0.0000 0.0000
0.0000 5.4054 0.0000
-0.7388 0.0000 10.7137
Li Co Si O
8 4 4 16
Cartesian
0.0375 0.9894 1.8228
-0.3319 1.7133 7.1796
0.6932 0.9700 9.9085
1.0626 1.7327 4.5516
4.2417 3.6727 6.1621
4.6111 4.4354 0.8052
5.6363 3.6921 3.5341
5.2669 4.4160 8.8909
2.1569 3.6360 8.9332
2.5263 4.4721 3.5763
2.7780 0.9333 7.1374
3.1474 1.7694 1.7805
1.4666 3.7042 0.9360
1.0972 4.4039 6.2929
4.2072 1.0015 4.4208
3.8378 1.7012 9.7777
-0.0572 3.7030 7.1891
0.3122 4.4051 1.8322
1.0069 0.6550 6.1944
1.3763 2.0477 0.8375
1.2119 3.7135 4.8007
0.8425 4.3946 10.1575
2.7222 1.1327 3.5965
2.3528 1.5700 8.9534
2.9516 3.8354 1.7603
2.5822 4.2727 7.1172
4.4618 1.0108 0.5562
4.0924 1.6919 5.9130
3.9280 3.3577 9.8762
4.2974 4.7504 4.5193
4.9921 1.0003 8.8815
5.3615 1.7024 3.5246
```

Peak list (10 most intense, 2θ from 10° to 80°, sorted by position)
| Position (°2θ) | I (rel.) |
| --- | --- |
| 14.7 | 100.0 |
| 18.4 | 25.5 |
| 21.4 | 28.9 |
| 22.1 | 54.2 |
| 28.3 | 26.6 |
| 32.8 | 46.6 |
| 33.1 | 49.7 |
| 33.5 | 21.1 |
| 35.2 | 55.6 |
| 59.0 | 29.0 |

3.
Structure and calculated X-ray diffraction stick pattern of KVPbO4 (a DFT-relaxed cell (PBE+U, the Materials Project); λ = 1.5418 Å (Cu Kα)).
Kinematic intensities with the Lorentz-polarization factor, no thermal factor.

Cell and atoms:
```
KVPbO4
1.0
7.8509 0.0000 0.0000
0.0000 5.8967 0.0000
0.0000 0.0000 10.3326
K V Pb O
4 4 4 16
Cartesian
1.4070 1.4742 0.9237
2.5184 4.4225 6.0900
5.3324 1.4742 4.2426
6.4439 4.4225 9.4089
1.9084 1.4742 4.3466
2.0170 4.4225 9.5129
5.8339 1.4742 0.8197
5.9424 4.4225 5.9860
0.1764 1.4742 7.4071
3.7491 4.4225 2.2408
4.1018 1.4742 8.0918
7.6745 4.4225 2.9255
0.2242 1.4742 4.0611
1.2898 2.9877 8.8214
1.2898 5.8573 8.8214
1.7262 4.4225 0.9341
2.1993 1.4742 6.1004
2.6357 0.0394 3.6551
2.6357 2.9090 3.6551
3.7012 4.4225 9.2274
4.1497 1.4742 1.1052
5.2152 2.9877 6.6775
5.2152 5.8573 6.6775
5.6516 4.4225 4.2322
6.1247 1.4742 9.3985
6.5611 0.0394 1.5112
6.5611 2.9090 1.5112
7.6266 4.4225 6.2715
```

Peak list (10 most intense, 2θ from 10° to 80°, sorted by position)
| Position (°2θ) | I (rel.) |
| --- | --- |
| 17.2 | 22.4 |
| 17.3 | 51.7 |
| 25.6 | 11.3 |
| 28.6 | 100.0 |
| 30.0 | 42.7 |
| 30.3 | 27.9 |
| 39.8 | 13.5 |
| 41.9 | 18.4 |
| 42.1 | 26.3 |
| 52.8 | 12.2 |

4.
Structure and calculated X-ray diffraction stick pattern of RbMgMoO3 (a DFT-relaxed cell (PBE+U, the Materials Project); λ = 1.5418 Å (Cu Kα)).